When Sharlo woke up, the sun was shining through his bedroom window. He expected to hear birds chirping or crows cawing, but it was totally silent outside. Sharlo pushed away his sheets and rolled out of bed. He walked over to his mom’s room, which was right across from his. He knocked on the door, but there was no response. He opened the door a crack.
“Mom?” he asked to see if she was awake, but there was no response.
He opened the door all the way and walked over to her bed, where she lay on her side, her back to Sharlo, with the sheets thrown on the floor.
Sharlo tapped her on the shoulder. “Mom? How are you feeling?”
Marta stirred and rolled onto her back, causing Sharlo to grimace. Her eyes were blacker than they were yesterday and her breathing was shallow and laboured.
Sharlo shook her gently. “Mom, wake up. Are you okay?”
She slowly opened her eyes and moaned.
“Morning sweetling,” she croaked.
“Are you okay?” Sharlo asked with concern.
Marta coughed three times. “Yeah, just-” she coughed again before vomiting up a thick black liquid onto the bed.
[Attached: records of crystals]
[1]
Diffraction record for PaCo4Si. The X-ray diffraction stick pattern is simulated, not measured: it uses a cell relaxed with PBE and CuKα.
Neutral-atom scattering factors, no anomalous dispersion.

Most intense lines, 2θ = 10–90°, low angle first:
2θ/deg  I (rel.)
20.38  59
29.79  100
31.33  64
39.55  44
40.80  45
41.44  36
44.92  33
61.87  41

Atomic structure:
```
12
Lattice="-2.242 2.242 9.260 2.242 -2.242 9.260 2.242 2.242 -9.260" Properties=species:S:1:pos:R:3 pbc="T T T"
Pa 2.242 1.121 2.315
Pa 0.000 1.121 6.945
Co 1.139 1.121 -0.405
Co 3.345 1.121 -0.405
Co 0.000 0.018 4.225
Co 2.242 0.018 5.034
Co 0.000 2.224 4.225
Co 2.242 2.224 5.034
Co -1.103 1.121 9.664
Co 1.103 1.121 9.664
Si 2.242 -1.121 6.945
Si 0.000 3.363 2.315
```

[2]
Diffraction record for Ni5H7Pd. The X-ray diffraction stick pattern is simulated, not measured: it uses a cell relaxed with PBE and CuKα.
Neutral-atom scattering factors, no anomalous dispersion.

Most intense lines, 2θ = 10–90°, low angle first:
2θ/deg  I (rel.)
36.38  30
39.40  34
39.65  38
41.66  100
42.17  36
42.61  33
42.85  25
47.54  24

Atomic structure:
```
26
Lattice="2.681 0.000 0.000 0.000 15.031 0.000 -1.281 0.000 4.330" Properties=species:S:1:pos:R:3 pbc="T T T"
Ni 0.000 0.000 0.000
Ni 0.000 7.516 0.000
Ni 0.036 1.147 2.365
Ni 0.036 6.369 2.365
Ni 0.038 9.741 3.940
Ni 0.038 12.805 3.940
[So much for the records of crystals]
“Woah, mom!” Sharlo grabbed her shoulders. “Are you okay?”
“Go- go get Kailith,” she said as she wiped the liquid off her chin. “Quickly, I’ll clean this up.”
“Are you sure?”
“Yes, be quick, please.”
“Oh-okay,” Sharlo turned quickly, ran out of the room, down the stairs and out the door, not even bothering to put on his shoes.
Kailith’s blacksmith shop wasn’t very far from Sharlo’s house. It didn’t take very long to run right to his front door, on which Sharlo pounded furiously. Sharlo knew Kailith was already awake, because his chimney had smoke pouring out, which meant his forge was active.
Kailith came to the door almost immediately, wiping his blackened hands with a cloth.
Seeing Sharlo’s frenzied state, Kailith instantly asked what was wrong.
“It’s mom,” Sharlo panted. “She’s sick, her eyes are all black and she’s throwing up some sort of black goo!”
“Alright, I’m coming.” Kailith threw down the cloth and slammed the door behind him, but didn’t lock it. Sharlo started running without looking behind him to see if Kailith was following.
Sharlo got back to the house, ran through the front door and back upstairs, where his mom was scrubbing the black goo off the floor with a towel. Kailith rushed past Shalo to Marta’s side, asking her if she was okay. She said something that Sharlo couldn’t hear and Kailith nodded.
“Sharlo, go get the doctor. Now.”
“Right,” again, Sharlo ran out of the house. Doctor Alverus didn’t live too far away.
Sharlo kept thinking about the black goo that his mom had hacked up. Sharlo could barely hold back his own vomit. He was out of breath so he slowed down to a walk.
Then his vision got blurry. His eyes started to water and his heart rate increased, he started to shake and he felt like his whole body was on fire.
Not now! Anytime but now!
He stopped running and tried to steady his breathing. Kailith and his mom taught him what to do if this ever happened, take deep breaths, count three things you can see, three things you can hear and move three body parts. Sharlo tried to focus on his surroundings.
There’s a house, a tree, a dog running around. I can hear… people talking in the market, I can hear sheep, and birds.
Sharlo looked at his hands and tried to wiggle his fingers when he felt someone grab his arm and lift him off his feet. He felt a rough hand cover his mouth, another hand pinned his arm behind his back and forced him to the ground.
“That’s him,” a man’s voice said. “The kid with purple eyes.”
“Is Kailith at the smithy?” Said another man.
“No, he’s at Marta’s, something’s wrong with her.”
One man laughed. “It’s perfect. They’ll give us so much gold for him.”
“Well hurry and tie him up.”
Sharlo struggled, but couldn’t move. The man twisted his arm and he tried to yell, but the man’s dirty hand was still over his mouth.
“Don’t move or I’ll break your arm.”
Sharlo felt like he was going to pass out. He couldn’t breathe and spots were appearing in his vision. He tried to yell again. His vision flashed purple and he felt the man release him. Sharlo crawled away and lay on his stomach, trying to take deep breaths.
When his breathing steadied, he stood up and looked at the men who attacked him. Their bodies were smoking and they looked like all the muscle had left their bodies. Sharlo could see every bone under their skin. Their lips had peeled back, showing their teeth and their eyes sank deep into their skulls.
He yelled and jumped away.
Did… Did I do that?
He felt his heart rate increasing and took more deep breaths. Breathe in, count to five, breathe out. His heart rate slowed and he looked at the dead men before him.
“I can’t,” he said out loud. “I need… Doctor,” and he ran off. The men had pulled him behind some thick bushes, so their bodies should be hidden from sight for now.
Sharlo ran to Doctor Alverus’ house and pounded on the door. The doctor answered the door and looked at Sharlo with concern.
“Whatever is the matter, dear boy?” He asked.
“Mom… Sick… Throwing up,” Sharlo waved his hand making a gesture for vomiting.
The doctor nodded, “I’ll get my things and be on my way, you go ahead, I’ll be there soon.”
Sharlo nodded and fell to his knees. His lungs felt like they were on fire. Doctor Alverus knelt down and grabbed Sharlo’s shoulders.
“Sharlo! Are you alright?”
“Out of breath,” he panted.
“Well, alright. Just give me one moment to get my things,” the doctor retreated inside his house and Sharlo sat on the ground, panting like a thirsty dog.
Doctor Alverus emerged a few seconds later with a black leather bag in his hand.
“Let’s go,” he said.
Sharlo got to his feet and Alverus followed him back to his house.
When they arrived, Marta and Kailith were sitting at the table. Doctor Alverus rushed to Marta’s side and started asking her some questions.
“Kailith,” Sharlo panted, still out of breath. “Need to talk to you.”
Kailith rose and approached Sharlo.
“What’s wrong?” He asked.
Sharlo beckoned him over. “Outside,” he gasped.
Kailith stepped outside and closed the door behind him.
He lowered his voice. “What’s wrong?”
“I… I think I killed two guys…” Sharlo’s started to cry. “They attacked me. I don’t know what happened,” Sharlo choked on a sob and Kailith pulled him into a close hug. Sharlo felt Kailith’s rough beard scratch his cheek.
“It’s alright,” he shushed him. “Where are they?”
Sharlo pointed, “Over there, behind some bushes.”
“Alright, take me to them.”
Sharlo rubbed the tears from his eyes and led Kailith to where he left the two corpses.
“Behind there,” Sharlo pointed.
Kailith walked behind the bushes. When he saw the two men, instead of gasping or yelling, he simply scratched his beard and pursed his lips.
“I don’t know what happened,” Sharlo mumbled. “I was having an attack and they grabbed me. I think they wanted your money, or mom’s, I don’t know.”
Kailith rubbed his chin, saying nothing. He always made it hard for Sharlo to tell what he was thinking.
“Go back home. I’ll hide the bodies. I don’t recognize them, so they’re probably not from here.”
“Okay,” Sharlo said quietly and walked back home, holding back tears the whole time.
When Sharlo got back home, doctor Alverus was already leaving.
“I’ve never seen anything like this,” he said. “For now, I’ve given your mother something to help her sleep and prevent a stomach infection. I’ve taken some of the stuff she vomited up and I’ll come back later if I can find out what it is.”
Sharlo nodded, “Okay.”
“Take good care of her. Make sure she gets lots of sleep, food and water.”
“Okay,” Sharlo couldn’t look directly at the doctor.
He patted Sharlo’s shoulder and walked off.
Sharlo looked over by the river, where the sun was high in the sky.
Must be noon. I slept till noon.
Sharlo pushed open the door to the house and walked in silently. Marta must have been upstairs, because she wasn’t sitting anywhere in the kitchen.
Sharlo sat down at the table and put his head in his hands. He couldn’t stop thinking about the men, their skin all brown and wrinkly.
“Never seen someone die before,” he said to himself quietly, a single tear falling down his cheek.
It was a few minutes before Kailith came back.
“I need you to gather some clothes, Sharlo,” he instructed calmly.
“Are we running away?” Sharlo asked.
“No, we’re going to visit some old friends of mine. Elves.”
Sharlo’s heart leapt a little. “Elves?”
Kailith nodded. “Yes, they might be able to help your mother,” he looked directly at Sharlo. “And you. Now go get your things. We’ll be gone about a week. We’re leaving today”
Sharlo nodded and went upstairs, where he opened up the chest that had all his clothes in it. Most of them were brown or white.
Elves, He thought with awe. How sick can mom be if we’re going to see the elves?
He started getting excited, the thought of the dead men completely gone from his mind.